Given >
........
No. 1
Molecular formula: C18H26N3O2PdSTe
Method: DFT, ωB97M-V/def2-TZVPD

Last column: Löwdin charge in e.
Positions of all 52 atoms, in Å:
Pd: 0.4552 -0.7438 0.2901  0.50
O: 0.4398 -4.0460 2.0121  0.00
C: 0.5416 -3.5079 0.9062  -0.64
O: 1.4334 -2.6264 0.6130  -0.22
C: -0.3980 -3.9702 -0.1971  -0.16
C: -0.9129 -5.2572 -0.0514  -0.05
C: -1.7242 -5.8408 -1.0079  -0.11
C: -2.0519 -5.1086 -2.1426  -0.12
C: -1.5772 -3.8192 -2.2913  -0.15
C: -0.7434 -3.2189 -1.3339  -0.59
S: -0.2330 -1.5787 -1.7220  0.66
H: -0.6463 -5.7918 0.8513  0.11
H: -2.0992 -6.8474 -0.8693  0.09
H: -2.6926 -5.5341 -2.9069  0.09
H: -1.8567 -3.2345 -3.1593  0.08
N: 1.6475 -0.3555 3.9100  -0.06
N: 0.9900 -1.0800 2.8636  -0.09
H: 1.8511 -0.9675 4.6970  0.06
H: 1.0109 0.3594 4.2412  0.05
H: 0.3191 -1.7548 3.2230  0.07
H: 1.6763 -1.6513 2.3743  0.03
C: -1.7873 1.4262 -3.1491  -0.11
N: -0.5532 2.1893 -3.1421  -0.26
C: -0.7988 3.5734 -3.4776  -0.14
C: 0.2784 1.9579 -1.9535  -0.22
C: -0.4245 2.0790 -0.6073  -0.28
C: -0.9461 3.3194 -0.2237  -0.07
C: -1.7103 3.4637 0.9210  -0.11
C: -1.9632 2.3436 1.7052  -0.12
C: -1.3936 1.1282 1.3678  -0.15
C: -0.5783 0.9668 0.2347  -0.30
H: -2.2116 1.4414 -4.1567  0.08
H: -2.5413 1.8324 -2.4546  0.09
H: -1.5906 0.3943 -2.8631  0.02
H: -1.1755 3.6297 -4.5030  0.08
H: 0.1325 4.1406 -3.4261  0.08
H: -1.5445 4.0646 -2.8321  0.07
H: 1.1161 2.6595 -2.0103  0.10
H: 0.6985 0.9526 -2.0337  0.05
H: -0.7401 4.1885 -0.8360  0.09
H: -2.1078 4.4340 1.1942  0.09
H: -2.5850 2.4238 2.5900  0.09
H: -1.5637 0.2740 2.0156  0.08
C: 1.8799 2.3834 2.1200  -0.43
Te: 2.6950 1.1162 0.6002  1.25
C: 4.4655 0.6700 1.7396  -0.46
H: 2.5606 2.3615 2.9673  -0.01
H: 0.9115 1.9875 2.4091  -0.03
H: 1.7673 3.3973 1.7459  -0.01
H: 4.9491 1.5945 2.0467  -0.01
H: 5.1415 0.1029 1.1025  -0.01
H: 4.1902 0.0788 2.6095  -0.02

- Orbital gap: 0.2360 hartree
- Charge: -1
- HOMO level: -4.072 eV
- Molar mass: 582.51 g/mol
- F_max: 0.47 eV/A
- LUMO energy: 2.35 eV
- 2S+1: 1

***

No. 2
Molecular formula: C18H26N4O2
Method: DFT, ωB97M-V/def2-TZVPD

Last column: Löwdin charge in e.
Positions of all 50 atoms, in Å:
O: 0.2090 -1.8003 -4.5606  0.04
O: -2.9844 -4.3908 -2.9852  0.06
N: -0.3018 -1.4529 -2.4004  0.21
C: -0.3701 -2.1850 -3.5285  -0.54
C: -2.0739 -3.5986 -2.6839  -0.40
C: -1.0316 -1.8001 -1.3774  -0.24
C: 1.0432 0.3392 -0.3761  0.00
C: -0.9001 1.2231 0.7081  -0.02
C: 1.7943 1.4365 0.1010  -0.01
C: -0.1422 2.3111 1.1873  -0.03
C: -0.3002 0.1957 -0.0351  -0.25
C: 1.2095 2.4488 0.8657  -0.24
N: -1.2792 -3.1746 -3.6937  0.20
N: -1.0450 -0.9692 -0.2918  0.13
N: 1.9330 3.6064 1.2738  -0.10
C: 4.3780 3.8114 0.7359  -0.09
C: 1.7532 3.6138 3.7351  -0.09
C: -4.1107 -1.8609 -1.3073  -0.06
C: -0.5919 -4.1527 0.8143  -0.09
C: 2.9506 4.1866 0.3147  -0.20
C: 1.6092 4.4293 2.4964  -0.23
C: -3.1907 -2.8925 -0.5580  -0.16
C: -0.8775 -4.2196 -0.6822  -0.15
C: -1.8070 -3.1005 -1.2706  -0.27
H: 1.5733 -0.4376 -0.9079  0.11
H: -1.9715 1.1556 0.9253  0.11
H: 2.8356 1.4778 -0.2279  0.11
H: -0.6723 3.1040 1.7410  0.11
H: -1.5380 -3.3882 -4.6675  0.19
H: -1.6578 -1.2895 0.4503  0.13
H: 4.6516 4.2898 1.6878  0.07
H: 5.0871 4.1603 -0.0264  0.07
H: 4.4913 2.7556 0.8558  0.05
H: 1.3517 4.1418 4.5824  0.07
H: 2.8120 3.4581 3.9146  0.07
H: 1.2223 2.6506 3.6546  0.08
H: -5.0966 -1.8006 -0.7658  0.09
H: -3.6670 -0.8844 -1.3493  0.06
H: -4.2750 -2.2020 -2.3395  0.08
H: 0.0343 -5.0257 1.0817  0.09
H: -1.4776 -4.2203 1.4399  0.07
H: 0.0071 -3.2764 1.0400  0.07
H: 2.8424 5.2717 0.3213  0.11
H: 2.7903 3.8402 -0.6985  0.11
H: 0.6153 4.8471 2.4099  0.10
H: 2.2790 5.2893 2.5588  0.11
H: -3.1215 -2.6115 0.4817  0.09
H: -3.6959 -3.8606 -0.5833  0.12
H: -1.3543 -5.1854 -0.8296  0.12
H: 0.0604 -4.2641 -1.2310  0.13

- Orbital gap: 0.3002 hartree
- Charge: 0
- HOMO level: -7.647 eV
- Molar mass: 330.43 g/mol
- F_max: 4.88 eV/A
- LUMO energy: 0.52 eV
- 2S+1: 1

***

No. 3
Molecular formula: C18H26N6OPRuSTe2
Method: DFT, ωB97M-V/def2-TZVPD

Last column: Löwdin charge in e.
Positions of all 56 atoms, in Å:
........
Exercise >
What is needed: return the entries above word for word.
Worked solution >
No. 1
Molecular formula: C18H26N3O2PdSTe
Method: DFT, ωB97M-V/def2-TZVPD

Last column: Löwdin charge in e.
Positions of all 52 atoms, in Å:
Pd: 0.4552 -0.7438 0.2901  0.50
O: 0.4398 -4.0460 2.0121  0.00
C: 0.5416 -3.5079 0.9062  -0.64
O: 1.4334 -2.6264 0.6130  -0.22
C: -0.3980 -3.9702 -0.1971  -0.16
C: -0.9129 -5.2572 -0.0514  -0.05
C: -1.7242 -5.8408 -1.0079  -0.11
C: -2.0519 -5.1086 -2.1426  -0.12
C: -1.5772 -3.8192 -2.2913  -0.15
C: -0.7434 -3.2189 -1.3339  -0.59
S: -0.2330 -1.5787 -1.7220  0.66
H: -0.6463 -5.7918 0.8513  0.11
H: -2.0992 -6.8474 -0.8693  0.09
H: -2.6926 -5.5341 -2.9069  0.09
H: -1.8567 -3.2345 -3.1593  0.08
N: 1.6475 -0.3555 3.9100  -0.06
N: 0.9900 -1.0800 2.8636  -0.09
H: 1.8511 -0.9675 4.6970  0.06
H: 1.0109 0.3594 4.2412  0.05
H: 0.3191 -1.7548 3.2230  0.07
H: 1.6763 -1.6513 2.3743  0.03
C: -1.7873 1.4262 -3.1491  -0.11
N: -0.5532 2.1893 -3.1421  -0.26
C: -0.7988 3.5734 -3.4776  -0.14
C: 0.2784 1.9579 -1.9535  -0.22
C: -0.4245 2.0790 -0.6073  -0.28
C: -0.9461 3.3194 -0.2237  -0.07
C: -1.7103 3.4637 0.9210  -0.11
C: -1.9632 2.3436 1.7052  -0.12
C: -1.3936 1.1282 1.3678  -0.15
C: -0.5783 0.9668 0.2347  -0.30
H: -2.2116 1.4414 -4.1567  0.08
H: -2.5413 1.8324 -2.4546  0.09
H: -1.5906 0.3943 -2.8631  0.02
H: -1.1755 3.6297 -4.5030  0.08
H: 0.1325 4.1406 -3.4261  0.08
H: -1.5445 4.0646 -2.8321  0.07
H: 1.1161 2.6595 -2.0103  0.10
H: 0.6985 0.9526 -2.0337  0.05
H: -0.7401 4.1885 -0.8360  0.09
H: -2.1078 4.4340 1.1942  0.09
H: -2.5850 2.4238 2.5900  0.09
H: -1.5637 0.2740 2.0156  0.08
C: 1.8799 2.3834 2.1200  -0.43
Te: 2.6950 1.1162 0.6002  1.25
C: 4.4655 0.6700 1.7396  -0.46
H: 2.5606 2.3615 2.9673  -0.01
H: 0.9115 1.9875 2.4091  -0.03
H: 1.7673 3.3973 1.7459  -0.01
H: 4.9491 1.5945 2.0467  -0.01
H: 5.1415 0.1029 1.1025  -0.01
H: 4.1902 0.0788 2.6095  -0.02

- Orbital gap: 0.2360 hartree
- Charge: -1
- HOMO level: -4.072 eV
- Molar mass: 582.51 g/mol
- F_max: 0.47 eV/A
- LUMO energy: 2.35 eV
- 2S+1: 1

***

No. 2
Molecular formula: C18H26N4O2
Method: DFT, ωB97M-V/def2-TZVPD

Last column: Löwdin charge in e.
Positions of all 50 atoms, in Å:
O: 0.2090 -1.8003 -4.5606  0.04
O: -2.9844 -4.3908 -2.9852  0.06
N: -0.3018 -1.4529 -2.4004  0.21
C: -0.3701 -2.1850 -3.5285  -0.54
C: -2.0739 -3.5986 -2.6839  -0.40
C: -1.0316 -1.8001 -1.3774  -0.24
C: 1.0432 0.3392 -0.3761  0.00
C: -0.9001 1.2231 0.7081  -0.02
C: 1.7943 1.4365 0.1010  -0.01
C: -0.1422 2.3111 1.1873  -0.03
C: -0.3002 0.1957 -0.0351  -0.25
C: 1.2095 2.4488 0.8657  -0.24
N: -1.2792 -3.1746 -3.6937  0.20
N: -1.0450 -0.9692 -0.2918  0.13
N: 1.9330 3.6064 1.2738  -0.10
C: 4.3780 3.8114 0.7359  -0.09
C: 1.7532 3.6138 3.7351  -0.09
C: -4.1107 -1.8609 -1.3073  -0.06
C: -0.5919 -4.1527 0.8143  -0.09
C: 2.9506 4.1866 0.3147  -0.20
C: 1.6092 4.4293 2.4964  -0.23
C: -3.1907 -2.8925 -0.5580  -0.16
C: -0.8775 -4.2196 -0.6822  -0.15
C: -1.8070 -3.1005 -1.2706  -0.27
H: 1.5733 -0.4376 -0.9079  0.11
H: -1.9715 1.1556 0.9253  0.11
H: 2.8356 1.4778 -0.2279  0.11
H: -0.6723 3.1040 1.7410  0.11
H: -1.5380 -3.3882 -4.6675  0.19
H: -1.6578 -1.2895 0.4503  0.13
H: 4.6516 4.2898 1.6878  0.07
H: 5.0871 4.1603 -0.0264  0.07
H: 4.4913 2.7556 0.8558  0.05
H: 1.3517 4.1418 4.5824  0.07
H: 2.8120 3.4581 3.9146  0.07
H: 1.2223 2.6506 3.6546  0.08
H: -5.0966 -1.8006 -0.7658  0.09
H: -3.6670 -0.8844 -1.3493  0.06
H: -4.2750 -2.2020 -2.3395  0.08
H: 0.0343 -5.0257 1.0817  0.09
H: -1.4776 -4.2203 1.4399  0.07
H: 0.0071 -3.2764 1.0400  0.07
H: 2.8424 5.2717 0.3213  0.11
H: 2.7903 3.8402 -0.6985  0.11
H: 0.6153 4.8471 2.4099  0.10
H: 2.2790 5.2893 2.5588  0.11
H: -3.1215 -2.6115 0.4817  0.09
H: -3.6959 -3.8606 -0.5833  0.12
H: -1.3543 -5.1854 -0.8296  0.12
H: 0.0604 -4.2641 -1.2310  0.13

- Orbital gap: 0.3002 hartree
- Charge: 0
- HOMO level: -7.647 eV
- Molar mass: 330.43 g/mol
- F_max: 4.88 eV/A
- LUMO energy: 0.52 eV
- 2S+1: 1

***

No. 3
Molecular formula: C18H26N6OPRuSTe2
Method: DFT, ωB97M-V/def2-TZVPD

Last column: Löwdin charge in e.
Positions of all 56 atoms, in Å: